Job:
Your job: find the line below that holds "=====", then repeat that line and all lines after it there.

Source:
~~~
Entry 1:
{"formula": "C5H9N4O2", "method": "the ωB97M-V functional and the def2-TZVPD basis", "elements": ["C", "C", "C", "C", "C", "N", "N", "N", "N", "O", "O", "H", "H", "H", "H", "H", "H", "H", "H", "H"], "positions_angstrom": [[1.878, -0.546, 0.091], [-2.105, 0.330, 0.058], [2.426, -1.724, -0.006], [-0.327, -1.323, 0.083], [0.188, 1.457, 0.323], [0.518, -0.348, 0.021], [-1.210, 1.372, 0.194], [-1.627, -1.004, 0.103], [0.836, 2.381, -0.366], [-3.273, 0.484, -0.160], [-2.751, -1.930, 0.045], [2.487, 0.388, 0.282], [1.775, -2.519, -0.183], [3.539, -1.839, -0.065], [-0.121, -2.412, -0.134], [0.515, 1.439, 1.361], [-1.702, 2.208, 0.101], [1.906, 2.260, -0.276], [0.471, 2.531, -1.413], [-3.420, -1.204, -0.060]], "forces_ev_per_a": [[1.9, 1.5, 0.4], [1.3, -0.3, -0.2], [2.8, 0.3, -0.5], [-1.5, -0.7, -1.5], [-1.1, -2.6, 2.0], [-0.3, 1.5, 0.8], [-0.6, -1.1, -0.5], [-1.5, -0.2, 0.4], [1.5, 0.0, -4.1], [-0.5, 0.5, 0.2], [2.5, 1.3, 0.0], [-0.8, -1.3, -0.3], [-0.2, -1.6, -0.2], [-1.4, -0.1, 0.3], [0.0, 1.3, 0.8], [0.3, -0.3, 0.0], [-0.8, 1.9, -0.1], [-2.4, 0.9, -0.3], [1.3, -0.4, 3.0], [-0.5, -0.5, -0.1]], "nbo_charge": [-0.054, 0.785, -0.355, 0.361, 0.392, -0.444, -0.652, -0.158, -0.753, -0.551, -0.464, 0.197, 0.186, 0.250, 0.255, 0.207, 0.436, 0.433, 0.426, 0.503], "homo_lumo_gap_ha": 0.32541, "charge": 1, "energy_ev": -15376.199, "e_above_lowest_kj_mol": 350.3}

=====

Entry 2:
~~~

Response:
=====

Entry 2: